**Assignment**
What is needed: print the whole of the lines below exactly.

**Given**
-- begin --
Below is a relaxed Ca2LaSc crystal, with properties calculated at the PBE-GGA level.

## Properties
Calculated formation energy (meV per atom): 158
Crystal system: orthorhombic
E above lowest polymorph (meV per atom): 76.1

abc: 7.020 7.020 7.020
angles: 147.41 130.64 60.41
Fractional positions:
Ca  0.232  0.232  0.000
Ca  0.768  0.768  0.000
La  0.500  0.000  0.500
Sc  0.000  0.500  0.500

* * * * *

An optimized crystal structure of ZrCuCl2, computed with PBE-GGA.

Its theoretical density is 3311 kg/m³. The calculation puts the uncorrected formation energy at -71 kJ per mole of atoms. The total DFT energy (no corrections) comes out at -4.82 eV per atom. The calculation puts the polymorph energy (0 for the lowest one) at 99 meV/atom.

```
data_ZrCuCl2
_chemical_formula_sum 'Zr2 Cu2 Cl4'
_cell_length_a 10.882
_cell_length_b 3.194
_cell_length_c 7.231
_cell_angle_alpha 90.00
_cell_angle_beta 115.76
_cell_angle_gamma 90.00
_space_group_name_H-M_alt 'C 1 m 1'
_space_group_IT_number 8
loop_
_space_group_symop_operation_xyz
'x,y,z'
'x,-y,z'
'x+1/2,y+1/2,z'
'x+1/2,-y+1/2,z'
loop_
_atom_site_label
_atom_site_type_symbol
_atom_site_fract_x
_atom_site_fract_y
_atom_site_fract_z
_atom_site_occupancy
Zr1 Zr 0.000 0.000 0.000 1
Cu1 Cu 0.288 0.000 0.960 1
Cl1 Cl 0.014 0.500 0.734 1
Cl2 Cl 0.145 0.500 0.285 1
```

* * * * *

# 1
First-principles (PBE) data for a relaxed TbAlZnPt3 crystal, as listed in Alexandria via LeMat-Bulk.

The calculation puts the magnetization at 0.000 μB/cell. The value obtained for the final energy is -128.3 eV/cell. The crystal system is orthorhombic. The calculation puts the energy relative to the elements at -69.3 kJ per mole of atoms.

The structure in CIF format:
```
data_TbAlZnPt3
_cell_length_a 6.8014
_cell_length_b 11.8364
_cell_length_c 5.6630
_cell_angle_alpha 90.00
_cell_angle_beta 90.00
_cell_angle_gamma 90.00
_symmetry_space_group_name_H-M 'C m c m'
_symmetry_Int_Tables_number 63
_symmetry_space_group_name_Hall '-C 2c 2'
loop_
_atom_site_label
_atom_site_fract_x
_atom_site_fract_y
_atom_site_fract_z
Tb1 0.0000 0.1991 0.2500
Al1 0.0000 0.1276 0.7500
Zn1 0.0000 0.4457 0.2500
Pt1 0.0000 0.3284 0.7500
Pt2 0.2082 0.0000 0.0000
```

---

# 2
First-principles (PBE) data for a relaxed AcAu3F12 crystal, as listed in Alexandria via LeMat-Bulk.

The calculation puts the magnetization at 1.718 μB/cell. The value obtained for the final energy is -392.0 eV/cell. The value obtained for the formation energy without anion corrections is -1809.0 meV/atom. The crystal system is trigonal.

The structure in CIF format:
```
data_AcAu3F12
_cell_length_a 10.6434
_cell_length_b 10.6434
_cell_length_c 16.5377
_cell_angle_alpha 90.00
_cell_angle_beta 90.00
_cell_angle_gamma 120.00
_symmetry_space_group_name_H-M 'R 3 c'
_symmetry_Int_Tables_number 161
_symmetry_space_group_name_Hall 'R 3 -2"c'
loop_
_atom_site_label
_atom_site_fract_x
_atom_site_fract_y
_atom_site_fract_z
Ac1 0.0000 0.0000 0.0000
Au1 0.0044 0.3523 0.0275
F1 0.0578 0.5263 0.2008
F2 0.0640 0.1745 0.3775
F3 0.1887 0.3822 0.6821
F4 0.1961 0.0823 0.6826
```

---

# 3
First-principles (PBE) data for a relaxed TiRuO2 crystal, as listed in Alexandria via LeMat-Bulk.

The calculation puts the magnetization at 1.884 μB/cell. For the offset from the most stable computed form, the calculation gives 0.00 kcal/mol of atoms. The value obtained for the final energy is -101.9 eV/cell. The value obtained for the formation energy without anion corrections is -1716.1 meV/atom. The crystal system is trigonal.

The structure in CIF format:
```
data_TiRuO2
_cell_length_a 2.8589
_cell_length_b 2.8589
_cell_length_c 19.0216
_cell_angle_alpha 90.00
_cell_angle_beta 90.00
_cell_angle_gamma 120.00
_symmetry_space_group_name_H-M 'R -3 m'
_symmetry_Int_Tables_number 166
_symmetry_space_group_name_Hall '-R 3 2"'
loop_
_atom_site_label
_atom_site_fract_x
_atom_site_fract_y
_atom_site_fract_z
Ti1 0.0000 0.0000 0.0000
Ru1 0.0000 0.0000 0.5000
O1 0.0000 0.0000 0.3927
```

---

# 4
-- stop --

**Reply**
Below is a relaxed Ca2LaSc crystal, with properties calculated at the PBE-GGA level.

## Properties
Calculated formation energy (meV per atom): 158
Crystal system: orthorhombic
E above lowest polymorph (meV per atom): 76.1

abc: 7.020 7.020 7.020
angles: 147.41 130.64 60.41
Fractional positions:
Ca  0.232  0.232  0.000
Ca  0.768  0.768  0.000
La  0.500  0.000  0.500
Sc  0.000  0.500  0.500

* * * * *

An optimized crystal structure of ZrCuCl2, computed with PBE-GGA.

Its theoretical density is 3311 kg/m³. The calculation puts the uncorrected formation energy at -71 kJ per mole of atoms. The total DFT energy (no corrections) comes out at -4.82 eV per atom. The calculation puts the polymorph energy (0 for the lowest one) at 99 meV/atom.

```
data_ZrCuCl2
_chemical_formula_sum 'Zr2 Cu2 Cl4'
_cell_length_a 10.882
_cell_length_b 3.194
_cell_length_c 7.231
_cell_angle_alpha 90.00
_cell_angle_beta 115.76
_cell_angle_gamma 90.00
_space_group_name_H-M_alt 'C 1 m 1'
_space_group_IT_number 8
loop_
_space_group_symop_operation_xyz
'x,y,z'
'x,-y,z'
'x+1/2,y+1/2,z'
'x+1/2,-y+1/2,z'
loop_
_atom_site_label
_atom_site_type_symbol
_atom_site_fract_x
_atom_site_fract_y
_atom_site_fract_z
_atom_site_occupancy
Zr1 Zr 0.000 0.000 0.000 1
Cu1 Cu 0.288 0.000 0.960 1
Cl1 Cl 0.014 0.500 0.734 1
Cl2 Cl 0.145 0.500 0.285 1
```

* * * * *

# 1
First-principles (PBE) data for a relaxed TbAlZnPt3 crystal, as listed in Alexandria via LeMat-Bulk.

The calculation puts the magnetization at 0.000 μB/cell. The value obtained for the final energy is -128.3 eV/cell. The crystal system is orthorhombic. The calculation puts the energy relative to the elements at -69.3 kJ per mole of atoms.

The structure in CIF format:
```
data_TbAlZnPt3
_cell_length_a 6.8014
_cell_length_b 11.8364
_cell_length_c 5.6630
_cell_angle_alpha 90.00
_cell_angle_beta 90.00
_cell_angle_gamma 90.00
_symmetry_space_group_name_H-M 'C m c m'
_symmetry_Int_Tables_number 63
_symmetry_space_group_name_Hall '-C 2c 2'
loop_
_atom_site_label
_atom_site_fract_x
_atom_site_fract_y
_atom_site_fract_z
Tb1 0.0000 0.1991 0.2500
Al1 0.0000 0.1276 0.7500
Zn1 0.0000 0.4457 0.2500
Pt1 0.0000 0.3284 0.7500
Pt2 0.2082 0.0000 0.0000
```

---

# 2
First-principles (PBE) data for a relaxed AcAu3F12 crystal, as listed in Alexandria via LeMat-Bulk.

The calculation puts the magnetization at 1.718 μB/cell. The value obtained for the final energy is -392.0 eV/cell. The value obtained for the formation energy without anion corrections is -1809.0 meV/atom. The crystal system is trigonal.

The structure in CIF format:
```
data_AcAu3F12
_cell_length_a 10.6434
_cell_length_b 10.6434
_cell_length_c 16.5377
_cell_angle_alpha 90.00
_cell_angle_beta 90.00
_cell_angle_gamma 120.00
_symmetry_space_group_name_H-M 'R 3 c'
_symmetry_Int_Tables_number 161
_symmetry_space_group_name_Hall 'R 3 -2"c'
loop_
_atom_site_label
_atom_site_fract_x
_atom_site_fract_y
_atom_site_fract_z
Ac1 0.0000 0.0000 0.0000
Au1 0.0044 0.3523 0.0275
F1 0.0578 0.5263 0.2008
F2 0.0640 0.1745 0.3775
F3 0.1887 0.3822 0.6821
F4 0.1961 0.0823 0.6826
```

---

# 3
First-principles (PBE) data for a relaxed TiRuO2 crystal, as listed in Alexandria via LeMat-Bulk.

The calculation puts the magnetization at 1.884 μB/cell. For the offset from the most stable computed form, the calculation gives 0.00 kcal/mol of atoms. The value obtained for the final energy is -101.9 eV/cell. The value obtained for the formation energy without anion corrections is -1716.1 meV/atom. The crystal system is trigonal.

The structure in CIF format:
```
data_TiRuO2
_cell_length_a 2.8589
_cell_length_b 2.8589
_cell_length_c 19.0216
_cell_angle_alpha 90.00
_cell_angle_beta 90.00
_cell_angle_gamma 120.00
_symmetry_space_group_name_H-M 'R -3 m'
_symmetry_Int_Tables_number 166
_symmetry_space_group_name_Hall '-R 3 2"'
loop_
_atom_site_label
_atom_site_fract_x
_atom_site_fract_y
_atom_site_fract_z
Ti1 0.0000 0.0000 0.0000
Ru1 0.0000 0.0000 0.5000
O1 0.0000 0.0000 0.3927
```

---

# 4